File =
~~~
Entry 1:
Here is HgAsAu3 after structural relaxation from Alexandria via LeMat-Bulk. Energies are from PBE.

Calculated values
- polymorph energy (0 for the lowest one) (eV per atom) = 0.000
- uncorrected energy (eV per cell) = -13.473

Cell lengths 4.9949, 4.9949, 4.9949 Å; angles 90.00, 90.00, 90.00 degrees
Element x y z (fractional)
Hg 0.0000 0.0000 0.0000
As 0.5000 0.5000 0.5000
Au 0.0000 0.5000 0.5000
Au 0.5000 0.0000 0.5000
Au 0.5000 0.5000 0.0000


Entry 2:
Here is ScCrCd2B after structural relaxation from Alexandria via LeMat-Bulk. Energies are from PBE.

Calculated values
- uncorrected energy (eV per cell) = -17.007

Cell lengths 5.0748, 5.0748, 4.4489 Å; angles 90.00, 90.00, 90.00 degrees
Element x y z (fractional)
Sc 0.0000 0.0000 0.0000
Cr 0.0000 0.0000 0.5000
Cd 0.0000 0.5000 0.5000
Cd 0.5000 0.0000 0.5000
B 0.5000 0.5000 0.0000


Entry 3:
Here is Sr2LaSi after structural relaxation from Alexandria via LeMat-Bulk. Energies are from PBE.

Calculated values
- uncorrected energy (eV per cell) = -14.397
- formation energy without anion corrections (meV/atom) = -171

Cell lengths 8.9514, 8.9514, 8.9514 Å; angles 154.67, 148.91, 40.51 degrees
Element x y z (fractional)
Sr 0.1627 0.1627 0.0000
Sr 0.8373 0.8373 0.0000
La 0.5000 0.0000 0.5000
Si 0.0000 0.5000 0.5000


Entry 4:
Here is NbP2Pd after structural relaxation from Alexandria via LeMat-Bulk. Energies are from PBE.

Calculated values
- uncorrected energy (eV per cell) = -27.501

Cell lengths 6.8885, 6.8885, 6.8885 Å; angles 28.42, 28.42, 28.42 degrees
Element x y z (fractional)
Nb 0.0000 0.0000 0.0000
P 0.4122 0.4122 0.4122
P 0.5812 0.5812 0.5812
Pd 0.1521 0.1521 0.1521


Entry 5:
Here is PrErInPb after structural relaxation from Alexandria via LeMat-Bulk. Energies are from PBE.

Calculated values
- polymorph energy (0 for the lowest one) (eV per atom) = 0.000
- uncorrected energy (eV per cell) = -17.609

Cell lengths 5.7398, 5.7398, 5.7398 Å; angles 127.99, 127.99, 76.64 degrees
Element x y z (fractional)
Pr 0.0000 0.0000 0.0000
Er 0.5000 0.5000 0.0000
In 0.2500 0.7500 0.5000
Pb 0.7500 0.2500 0.5000


Entry 6:
Here is MgPdSe after structural relaxation from Alexandria via LeMat-Bulk. Energies are from PBE.

Calculated values
- uncorrected energy (eV per cell) = -22.746
- formation energy without anion corrections (meV/atom) = -367

Cell lengths 4.4038, 4.4038, 9.6182 Å; angles 90.00, 90.00, 120.00 degrees
Element x y z (fractional)
Mg 0.3333 0.6667 0.2500
Mg 0.6667 0.3333 0.7500
Pd 0.0000 0.0000 0.0000
Pd 0.0000 0.0000 0.5000
Se 0.0000 0.0000 0.2500
Se 0.0000 0.0000 0.7500


Entry 7:
Here is Pr2ZnHPd6 after structural relaxation from Alexandria via LeMat-Bulk. Energies are from PBE.

Calculated values
- uncorrected energy (eV per cell) = -51.700

Cell lengths 5.7914, 5.8002, 6.8987 Å; angles 65.18, 65.47, 60.14 degrees
Element x y z (fractional)
Pr 0.2280 0.2292 0.3170
Pr 0.7720 0.7708 0.6830
Zn 0.5000 0.5000 0.5000
H 0.0000 0.0000 0.0000
Pd 0.2280 0.7280 0.8138
Pd 0.2290 0.2274 0.8111
Pd 0.2686 0.7736 0.1880
Pd 0.7314 0.2264 0.8120
Pd 0.7710 0.7726 0.1889
Pd 0.7720 0.2720 0.1862


Entry 8:
Here is Th4Bi2C after structural relaxation from Alexandria via LeMat-Bulk. Energies are from PBE.

Calculated values
- polymorph energy (0 for the lowest one) (eV per atom) = 0.000
- uncorrected energy (eV per cell) = -49.401

Cell lengths 9.1148, 9.1148, 9.1148 Å; angles 148.30, 148.30, 45.45 degrees
Element x y z (fractional)
Th 0.0000 0.5000 0.5000
Th 0.1545 0.1545 0.0000
Th 0.5000 0.0000 0.5000
Th 0.8455 0.8455 0.0000
Bi 0.3551 0.3551 0.0000
Bi 0.6449 0.6449 0.0000
C 0.0000 0.0000 0.0000


Number 1: calculated volume 24.92 Å³/atom. Number 2: calculated volume 22.91 Å³/atom. Number 3: calculated volume 39.53 Å³/atom. Number 4: calculated volume 16.36 Å³/atom. Number 5: calculated volume 28.52 Å³/atom. Number 6: calculated volume 26.92 Å³/atom. Number 7: calculated volume 17.60 Å³/atom. Number 8: calculated volume 29.78 Å³/atom.

* * * * *

# 1
Compound: In6PbSe8
~~~
Assignment =
Next, repeat all of the notes earlier on without additions.
Outcome =
Entry 1:
Here is HgAsAu3 after structural relaxation from Alexandria via LeMat-Bulk. Energies are from PBE.

Calculated values
- polymorph energy (0 for the lowest one) (eV per atom) = 0.000
- uncorrected energy (eV per cell) = -13.473

Cell lengths 4.9949, 4.9949, 4.9949 Å; angles 90.00, 90.00, 90.00 degrees
Element x y z (fractional)
Hg 0.0000 0.0000 0.0000
As 0.5000 0.5000 0.5000
Au 0.0000 0.5000 0.5000
Au 0.5000 0.0000 0.5000
Au 0.5000 0.5000 0.0000


Entry 2:
Here is ScCrCd2B after structural relaxation from Alexandria via LeMat-Bulk. Energies are from PBE.

Calculated values
- uncorrected energy (eV per cell) = -17.007

Cell lengths 5.0748, 5.0748, 4.4489 Å; angles 90.00, 90.00, 90.00 degrees
Element x y z (fractional)
Sc 0.0000 0.0000 0.0000
Cr 0.0000 0.0000 0.5000
Cd 0.0000 0.5000 0.5000
Cd 0.5000 0.0000 0.5000
B 0.5000 0.5000 0.0000


Entry 3:
Here is Sr2LaSi after structural relaxation from Alexandria via LeMat-Bulk. Energies are from PBE.

Calculated values
- uncorrected energy (eV per cell) = -14.397
- formation energy without anion corrections (meV/atom) = -171

Cell lengths 8.9514, 8.9514, 8.9514 Å; angles 154.67, 148.91, 40.51 degrees
Element x y z (fractional)
Sr 0.1627 0.1627 0.0000
Sr 0.8373 0.8373 0.0000
La 0.5000 0.0000 0.5000
Si 0.0000 0.5000 0.5000


Entry 4:
Here is NbP2Pd after structural relaxation from Alexandria via LeMat-Bulk. Energies are from PBE.

Calculated values
- uncorrected energy (eV per cell) = -27.501

Cell lengths 6.8885, 6.8885, 6.8885 Å; angles 28.42, 28.42, 28.42 degrees
Element x y z (fractional)
Nb 0.0000 0.0000 0.0000
P 0.4122 0.4122 0.4122
P 0.5812 0.5812 0.5812
Pd 0.1521 0.1521 0.1521


Entry 5:
Here is PrErInPb after structural relaxation from Alexandria via LeMat-Bulk. Energies are from PBE.

Calculated values
- polymorph energy (0 for the lowest one) (eV per atom) = 0.000
- uncorrected energy (eV per cell) = -17.609

Cell lengths 5.7398, 5.7398, 5.7398 Å; angles 127.99, 127.99, 76.64 degrees
Element x y z (fractional)
Pr 0.0000 0.0000 0.0000
Er 0.5000 0.5000 0.0000
In 0.2500 0.7500 0.5000
Pb 0.7500 0.2500 0.5000


Entry 6:
Here is MgPdSe after structural relaxation from Alexandria via LeMat-Bulk. Energies are from PBE.

Calculated values
- uncorrected energy (eV per cell) = -22.746
- formation energy without anion corrections (meV/atom) = -367

Cell lengths 4.4038, 4.4038, 9.6182 Å; angles 90.00, 90.00, 120.00 degrees
Element x y z (fractional)
Mg 0.3333 0.6667 0.2500
Mg 0.6667 0.3333 0.7500
Pd 0.0000 0.0000 0.0000
Pd 0.0000 0.0000 0.5000
Se 0.0000 0.0000 0.2500
Se 0.0000 0.0000 0.7500


Entry 7:
Here is Pr2ZnHPd6 after structural relaxation from Alexandria via LeMat-Bulk. Energies are from PBE.

Calculated values
- uncorrected energy (eV per cell) = -51.700

Cell lengths 5.7914, 5.8002, 6.8987 Å; angles 65.18, 65.47, 60.14 degrees
Element x y z (fractional)
Pr 0.2280 0.2292 0.3170
Pr 0.7720 0.7708 0.6830
Zn 0.5000 0.5000 0.5000
H 0.0000 0.0000 0.0000
Pd 0.2280 0.7280 0.8138
Pd 0.2290 0.2274 0.8111
Pd 0.2686 0.7736 0.1880
Pd 0.7314 0.2264 0.8120
Pd 0.7710 0.7726 0.1889
Pd 0.7720 0.2720 0.1862


Entry 8:
Here is Th4Bi2C after structural relaxation from Alexandria via LeMat-Bulk. Energies are from PBE.

Calculated values
- polymorph energy (0 for the lowest one) (eV per atom) = 0.000
- uncorrected energy (eV per cell) = -49.401

Cell lengths 9.1148, 9.1148, 9.1148 Å; angles 148.30, 148.30, 45.45 degrees
Element x y z (fractional)
Th 0.0000 0.5000 0.5000
Th 0.1545 0.1545 0.0000
Th 0.5000 0.0000 0.5000
Th 0.8455 0.8455 0.0000
Bi 0.3551 0.3551 0.0000
Bi 0.6449 0.6449 0.0000
C 0.0000 0.0000 0.0000


Number 1: calculated volume 24.92 Å³/atom. Number 2: calculated volume 22.91 Å³/atom. Number 3: calculated volume 39.53 Å³/atom. Number 4: calculated volume 16.36 Å³/atom. Number 5: calculated volume 28.52 Å³/atom. Number 6: calculated volume 26.92 Å³/atom. Number 7: calculated volume 17.60 Å³/atom. Number 8: calculated volume 29.78 Å³/atom.

* * * * *

# 1
Compound: In6PbSe8